Data >
- - -
The following is a theoretical PXRD pattern of BaCoTeO. It was derived from DFT lattice parameters and positions (PBE+U), using Cu Kα (λ = 1.5418 Å).

Crystal structure
a b c (Å): 7.6911 7.1438 7.5327
angles (deg): 90.00 90.00 90.00
Space group Pca2_1 (No. 29)
Asymmetric unit:
Ba (0.1207, 0.1272, 0.0000) (multiplicity 4)
Co (0.0432, 0.6471, 0.1266) (multiplicity 4)
Te (0.1469, 0.6132, 0.7903) (multiplicity 4)
O (0.0736, 0.1261, 0.6513) (multiplicity 4)

The 10 most intense peaks (2θ from 15° to 90°), sorted by position:
Position (°2θ)	I_rel
26.02	100
26.76	66
27.53	94
28.91	25
29.21	53
30.03	77
39.82	41
44.97	53
45.17	28
58.27	25

~~~~~

# 1
The following is a theoretical powder XRD pattern of DyNiAg. It was derived from a crystal structure in Alexandria, relaxed with GGA-PBE, using λ = 1.5418 Å (Cu Kα).
Peak positions follow from Bragg's law for the DFT cell and can differ from measured ones.

Top 10 peaks for 2θ = 10–80°, sorted by position:
d/Å, two_theta, I_rel
2.808, 31.86, 22.4
2.614, 34.31, 100.0
2.457, 36.57, 71.0
2.387, 37.69, 22.4
2.237, 40.31, 49.6
1.912, 47.55, 23.1
1.834, 49.72, 20.2
1.509, 61.43, 36.2
1.418, 65.86, 22.1
1.324, 71.25, 13.3

abc: 8.4756 8.4756 3.8244
angles: 90.00 90.00 155.01
Fractional positions:
Dy  0.1006  0.8994  0.7500
Dy  0.8994  0.1006  0.2500
Ni  0.4585  0.5415  0.7500
Ni  0.5415  0.4585  0.2500
Ag  0.2920  0.7080  0.7500
Ag  0.7080  0.2920  0.2500

***

# 2
The following is a theoretical powder XRD pattern of Dy4Ni2Ag5. It was derived from a crystal structure in Alexandria, relaxed with GGA-PBE, using λ = 1.5418 Å (Cu Kα).
Peak positions follow from Bragg's law for the DFT cell and can differ from measured ones.

Top 10 peaks for 2θ = 10–80°, sorted by position:
d/Å, two_theta, I_rel
2.690, 33.31, 52.5
2.649, 33.84, 21.5
2.570, 34.91, 100.0
2.422, 37.13, 40.6
2.412, 37.28, 24.0
2.301, 39.15, 44.1
2.223, 40.58, 17.5
2.193, 41.16, 10.5
2.184, 41.34, 12.7
1.824, 50.02, 23.2

abc: 7.2770 3.6472 8.9518
angles: 90.00 96.06 90.00
Fractional positions:
Dy  0.1878  0.0000  0.3513
Dy  0.2260  0.0000  0.9341
Dy  0.7740  0.0000  0.0659
Dy  0.8122  0.0000  0.6487
Ni  0.0686  0.5000  0.1335
Ni  0.9314  0.5000  0.8665
Ag  0.1629  0.5000  0.6414
Ag  0.4543  0.5000  0.1750
Ag  0.5000  0.5000  0.5000
Ag  0.5457  0.5000  0.8250
Ag  0.8371  0.5000  0.3586

***

# 3
The following is a theoretical powder XRD pattern of Dy12NiAg6. It was derived from a crystal structure in Alexandria, relaxed with GGA-PBE, using λ = 1.5418 Å (Cu Kα).
Peak positions follow from Bragg's law for the DFT cell and can differ from measured ones.

Top 10 peaks for 2θ = 10–80°, sorted by position:
d/Å, two_theta, I_rel
3.689, 24.13, 17.0
3.117, 28.64, 57.7
2.936, 30.45, 23.6
2.757, 32.47, 100.0
2.591, 34.62, 34.3
2.493, 36.03, 29.7
2.436, 36.89, 88.4
2.165, 41.72, 20.5
1.809, 50.44, 14.3
1.418, 65.84, 13.4

abc: 8.0648 8.0648 8.0648
angles: 93.45 93.45 93.45
Fractional positions:
Dy  0.0432  0.6987  0.9288
Dy  0.0712  0.9568  0.3013
Dy  0.1871  0.5359  0.4043
Dy  0.3013  0.0712  0.9568
Dy  0.4043  0.1871  0.5359
Dy  0.4641  0.5957  0.8129
Dy  0.5359  0.4043  0.1871
Dy  0.5957  0.8129  0.4641
Dy  0.6987  0.9288  0.0432
Dy  0.8129  0.4641  0.5957
Dy  0.9288  0.0432  0.6987
Dy  0.9568  0.3013  0.0712
Ni  0.5000  0.5000  0.5000
Ag  0.1511  0.3637  0.7599
Ag  0.2401  0.8489  0.6363
Ag  0.3637  0.7599  0.1511
Ag  0.6363  0.2401  0.8489
Ag  0.7599  0.1511  0.3637
Ag  0.8489  0.6363  0.2401

***

# 4
The following is a theoretical powder XRD pattern of Dy4Ni2Ag. It was derived from a crystal structure in Alexandria, relaxed with GGA-PBE, using λ = 1.5418 Å (Cu Kα).
Peak positions follow from Bragg's law for the DFT cell and can differ from measured ones.

Top 10 peaks for 2θ = 10–80°, sorted by position:
d/Å, two_theta, I_rel
3.256, 27.39, 37.7
3.006, 29.72, 47.3
2.990, 29.88, 100.0
2.734, 32.76, 98.8
2.726, 32.85, 45.4
2.636, 34.01, 96.5
2.626, 34.15, 72.2
2.619, 34.24, 39.9
2.553, 35.15, 40.7
2.429, 37.01, 88.6

abc: 6.8405 6.8824 8.2528
- - -

What to do >
Now count the lines further above that contain the word "Fractional" and give the number alone.

Written answer >
3